• Entries:
=====
Compound: Sm11Hg45
Source: the Materials Project database
Functional: PBE
Structure: relaxed

a b c (Å): 15.699 15.699 15.699
angles (deg): 60.00 60.00 60.00
Atoms (fractional coordinates):
Hg 0.741 0.129 0.741
Hg 0.984 0.800 0.608
Hg 0.357 0.734 0.552
Hg 0.357 0.552 0.734
Hg 0.487 0.487 0.862
Hg 0.085 0.085 0.744
Sm 0.669 0.362 0.984
Hg 0.596 0.936 0.234
Hg 0.487 0.487 0.164
Hg 0.596 0.234 0.234
Hg 0.487 0.862 0.164
Hg 0.800 0.608 0.984
Hg 0.234 0.234 0.596
Hg 0.838 0.838 0.838
Hg 0.741 0.741 0.129
Sm 0.338 0.338 0.987
Hg 0.734 0.357 0.552
Sm 0.984 0.362 0.984
Hg 0.485 0.838 0.838
Hg 0.734 0.552 0.357
Hg 0.164 0.862 0.487
Hg 0.487 0.164 0.487
Hg 0.173 0.173 0.481
Hg 0.153 0.847 0.847
Hg 0.085 0.744 0.085
Hg 0.936 0.596 0.234
Hg 0.164 0.487 0.862
Sm 0.669 0.984 0.984
Sm 0.984 0.362 0.669
Sm 0.750 0.750 0.750
Sm 0.594 0.594 0.217
Hg 0.129 0.741 0.741
Hg 0.357 0.357 0.552
Hg 0.234 0.936 0.234
Hg 0.412 0.412 0.088
Hg 0.741 0.389 0.129
Hg 0.153 0.847 0.153
Sm 0.338 0.338 0.338
Sm 0.362 0.984 0.984
Sm 0.984 0.984 0.362
Hg 0.984 0.608 0.800
Hg 0.129 0.389 0.741
Hg 0.917 0.249 0.917
Hg 0.389 0.741 0.129
Hg 0.389 0.741 0.741
Hg 0.088 0.088 0.412
Hg 0.838 0.838 0.485
Sm 0.217 0.594 0.594
Hg 0.847 0.153 0.847
Sm 0.000 0.000 0.000
Hg 0.608 0.800 0.984
Hg 0.481 0.173 0.173
Hg 0.917 0.917 0.249
Hg 0.608 0.984 0.800
Sm 0.594 0.594 0.594
Sm 0.984 0.669 0.984
Hg 0.357 0.357 0.734
Sm 0.987 0.338 0.338
Hg 0.741 0.741 0.389
Hg 0.800 0.984 0.608
Hg 0.153 0.153 0.847
Hg 0.608 0.800 0.608
Hg 0.357 0.734 0.357
Hg 0.862 0.487 0.487
Hg 0.357 0.552 0.357
Hg 0.608 0.608 0.984
Hg 0.744 0.085 0.085
Sm 0.669 0.984 0.362
Hg 0.129 0.741 0.389
Hg 0.608 0.984 0.608
Sm 0.338 0.987 0.338
Hg 0.984 0.608 0.608
Hg 0.088 0.412 0.412
Hg 0.500 0.500 0.500
Hg 0.412 0.088 0.412
Hg 0.862 0.487 0.164
Sm 0.362 0.984 0.669
Hg 0.847 0.153 0.153
Hg 0.487 0.862 0.487
Hg 0.734 0.357 0.357
Sm 0.594 0.217 0.594
Sm 0.984 0.984 0.669
Hg 0.088 0.412 0.088
Sm 0.984 0.669 0.362
Hg 0.250 0.250 0.250
Hg 0.164 0.487 0.487
Hg 0.936 0.234 0.234
Hg 0.741 0.129 0.389
Hg 0.552 0.734 0.357
Hg 0.234 0.936 0.596
Hg 0.847 0.847 0.153
Hg 0.552 0.357 0.734
Hg 0.234 0.234 0.936
Hg 0.234 0.596 0.936
Hg 0.487 0.164 0.862
Hg 0.552 0.357 0.357
Hg 0.173 0.481 0.173
Hg 0.412 0.088 0.088
Hg 0.596 0.234 0.936
Hg 0.917 0.917 0.917
Hg 0.389 0.129 0.741
=====
• Work order:
What is needed: give back the whole of the contents further above word for word.
• Outcome:
Compound: Sm11Hg45
Source: the Materials Project database
Functional: PBE
Structure: relaxed

a b c (Å): 15.699 15.699 15.699
angles (deg): 60.00 60.00 60.00
Atoms (fractional coordinates):
Hg 0.741 0.129 0.741
Hg 0.984 0.800 0.608
Hg 0.357 0.734 0.552
Hg 0.357 0.552 0.734
Hg 0.487 0.487 0.862
Hg 0.085 0.085 0.744
Sm 0.669 0.362 0.984
Hg 0.596 0.936 0.234
Hg 0.487 0.487 0.164
Hg 0.596 0.234 0.234
Hg 0.487 0.862 0.164
Hg 0.800 0.608 0.984
Hg 0.234 0.234 0.596
Hg 0.838 0.838 0.838
Hg 0.741 0.741 0.129
Sm 0.338 0.338 0.987
Hg 0.734 0.357 0.552
Sm 0.984 0.362 0.984
Hg 0.485 0.838 0.838
Hg 0.734 0.552 0.357
Hg 0.164 0.862 0.487
Hg 0.487 0.164 0.487
Hg 0.173 0.173 0.481
Hg 0.153 0.847 0.847
Hg 0.085 0.744 0.085
Hg 0.936 0.596 0.234
Hg 0.164 0.487 0.862
Sm 0.669 0.984 0.984
Sm 0.984 0.362 0.669
Sm 0.750 0.750 0.750
Sm 0.594 0.594 0.217
Hg 0.129 0.741 0.741
Hg 0.357 0.357 0.552
Hg 0.234 0.936 0.234
Hg 0.412 0.412 0.088
Hg 0.741 0.389 0.129
Hg 0.153 0.847 0.153
Sm 0.338 0.338 0.338
Sm 0.362 0.984 0.984
Sm 0.984 0.984 0.362
Hg 0.984 0.608 0.800
Hg 0.129 0.389 0.741
Hg 0.917 0.249 0.917
Hg 0.389 0.741 0.129
Hg 0.389 0.741 0.741
Hg 0.088 0.088 0.412
Hg 0.838 0.838 0.485
Sm 0.217 0.594 0.594
Hg 0.847 0.153 0.847
Sm 0.000 0.000 0.000
Hg 0.608 0.800 0.984
Hg 0.481 0.173 0.173
Hg 0.917 0.917 0.249
Hg 0.608 0.984 0.800
Sm 0.594 0.594 0.594
Sm 0.984 0.669 0.984
Hg 0.357 0.357 0.734
Sm 0.987 0.338 0.338
Hg 0.741 0.741 0.389
Hg 0.800 0.984 0.608
Hg 0.153 0.153 0.847
Hg 0.608 0.800 0.608
Hg 0.357 0.734 0.357
Hg 0.862 0.487 0.487
Hg 0.357 0.552 0.357
Hg 0.608 0.608 0.984
Hg 0.744 0.085 0.085
Sm 0.669 0.984 0.362
Hg 0.129 0.741 0.389
Hg 0.608 0.984 0.608
Sm 0.338 0.987 0.338
Hg 0.984 0.608 0.608
Hg 0.088 0.412 0.412
Hg 0.500 0.500 0.500
Hg 0.412 0.088 0.412
Hg 0.862 0.487 0.164
Sm 0.362 0.984 0.669
Hg 0.847 0.153 0.153
Hg 0.487 0.862 0.487
Hg 0.734 0.357 0.357
Sm 0.594 0.217 0.594
Sm 0.984 0.984 0.669
Hg 0.088 0.412 0.088
Sm 0.984 0.669 0.362
Hg 0.250 0.250 0.250
Hg 0.164 0.487 0.487
Hg 0.936 0.234 0.234
Hg 0.741 0.129 0.389
Hg 0.552 0.734 0.357
Hg 0.234 0.936 0.596
Hg 0.847 0.847 0.153
Hg 0.552 0.357 0.734
Hg 0.234 0.234 0.936
Hg 0.234 0.596 0.936
Hg 0.487 0.164 0.862
Hg 0.552 0.357 0.357
Hg 0.173 0.481 0.173
Hg 0.412 0.088 0.088
Hg 0.596 0.234 0.936
Hg 0.917 0.917 0.917
Hg 0.389 0.129 0.741